Monday, December 5, 2016

Adding Depth

          Drawing has always been a hobby that I've been passionate about my entire life, but I don't usually put the time in to become better. I just sit down and decide to doodle either my own characters that I make from scratch, or I draw my cartoon characters from my favorite cartoon shows. I like to draw by simply using my imagination, rather than shaping out every detail, and I've gotten pretty good at it. By the time I finish this blog, my goal is to increase the depth in my drawings. The way I'll do this is by using different shading techniques to create a 3-d version of my drawing.

This is a fictional character I was doodling.
For me, drawing from imagination is either mixing a combination of characters I've seen on T.V making a new character, or just a regular character from T.V. Some people think that drawing and sketching is the same thing, but in, "Drawing for a beginner", by Mark Willenbrink, he states, "a sketch is a work of progress...on the other hand, drawing is an activity that is begun with the intention of producing a finished piece of art" (Willenbrink 16).  This is what makes drawing fascinating to me, is that whatever I'm drawing or doodling, I always continue to see my finished work. Also in the book, the author states that to create depth, you should focus on structural sketches because it'll help you observe your subject, (Willenbrink 17).

The drawing above is an example of dark and light shading techniques. There is a contrast between the different shades of the pencil creating depth.

Question: As an artist, do you enjoy drawing with your imagination and making your own characters, or not

Bibliography: Willenbrink, Mark, and Mary Willenbrink. Drawing for the Absolute Beginner: A Clear & Easy Guide to Successful Drawing. Cincinnati, OH: North Light, 2006. Print.


  1. Hey Abdi!
    Your blog post was very cool to look at, I really liked that guy you drew, nice details! I also liked how you put a lot of heart into the drawing and it shows that you got into doing it well and put in hard work.

### Next to the page, the page also holds data records
(1)
A structure of composition C46H59N4STi, computed with ωB97M-V with the def2-TZVPD basis set.

Structure (ORCA input):
```
! RIJCOSX wB97M-V def2-TZVPD def2/J DEFGRID3
* xyz 0 2
Ti -0.01916 -0.44281 -0.20526
C 0.33208 2.99357 4.05715
C 0.63431 1.52484 3.88601
C 1.13864 0.91601 5.19100
C -0.58297 0.85147 3.27046
C -1.15193 -0.24860 3.97428
C -2.51498 -0.45410 3.74669
C -3.17595 0.43392 2.91104
C -2.55124 1.21671 1.92776
C -3.37012 2.22885 1.17309
C -4.93539 2.26970 1.44462
C -2.86716 3.65485 1.61220
C -1.13177 1.21914 2.02815
N -0.40985 1.22051 0.82705
C 0.76308 1.84391 0.51479
C 1.11148 2.39546 -0.75684
C 1.84841 3.60294 -0.78298
C 2.11353 4.29269 -1.97483
C 1.62735 3.76290 -3.12186
C 1.01809 2.52792 -3.18429
C 0.73931 1.78433 -1.99844
N 0.23113 0.47660 -2.05595
C -0.41434 0.04981 -3.22854
C -1.67304 0.63343 -3.57376
C -2.18951 0.29760 -4.82688
C -1.60544 -0.69570 -5.63449
C -0.48542 -1.35036 -5.17590
C 0.22857 -0.90886 -4.03686
C 1.64789 -1.41426 -3.92710
C 2.76042 -0.42216 -3.65560
C 1.90156 -2.63148 -3.05221
C -2.42259 1.52539 -2.72641
C -3.83911 0.88712 -2.61660
C -2.63803 2.93449 -3.32254
H 1.12475 3.56394 4.51648
H -0.58879 3.09310 4.69399
H 0.07590 3.52436 3.13468
H 1.52910 1.34481 3.24572
H 0.31974 0.64448 5.85175
H 1.82447 1.58428 5.72258
H 1.80446 0.03415 5.03755
H -0.53486 -0.93702 4.53572
H -3.05440 -1.30937 4.18782
H -4.23469 0.37040 2.87848
H -3.09079 2.21909 0.10487
H -5.28742 2.14037 2.46501
H -5.49740 1.50968 0.87089
H -5.39793 3.21684 1.15756
H -2.88628 3.74553 2.73588
H -3.54122 4.42657 1.27192
H -1.86109 3.80613 1.23361
H 1.32031 2.20196 1.38083
H 2.19403 3.95828 0.15272
H 2.66913 5.19736 -2.02858
H 1.85328 4.31484 -4.03670
H 0.93793 2.03545 -4.14274
H -3.06240 0.79449 -5.30651
H -2.02033 -0.96437 -6.61331
H -0.19156 -2.34532 -5.51479
H 1.81649 -1.79725 -4.90786
H 2.61108 0.04329 -2.67863
H 2.95923 0.29669 -4.44837
H 3.68096 -1.02569 -3.55732
H 2.16063 -2.35895 -1.99976
H 2.78586 -3.19735 -3.44566
H 1.12539 -3.36978 -3.11778
H -1.90092 1.64017 -1.76875
H -4.19149 0.64034 -3.58429
H -4.53579 1.58671 -2.16130
H -3.78206 -0.00615 -2.00990
H -2.98633 2.96660 -4.36471
H -1.76417 3.56632 -3.23492
H -3.38455 3.49501 -2.63108
S -4.07623 -2.61159 -0.53372
C -2.81815 -3.23675 -1.57527
C -1.64298 -2.63476 -1.15782
N -1.72148 -1.67816 -0.16904
C -3.06731 -1.38099 0.04394
H -2.99109 -3.94837 -2.37389
H -0.66959 -2.92781 -1.47794
H -3.42842 -0.52037 0.65713
C 4.05852 1.03266 1.02213
C 4.18413 -0.52206 1.07096
C 4.12574 -1.05590 -0.36423
C 3.17728 -1.23515 1.95623
C 3.46128 -1.32872 3.31548
C 2.81130 -2.22686 4.16857
C 1.91749 -3.15439 3.59233
C 1.66342 -3.19712 2.26088
C 0.89705 -4.39282 1.66026
C 1.25386 -4.54496 0.14992
C -0.60858 -4.52402 2.02389
C 1.97914 -1.95903 1.50949
N 1.25487 -1.42454 0.48472
H 5.00019 1.34924 0.50465
H 4.13189 1.38632 2.02743
H 3.26211 1.36958 0.40239
H 5.17318 -0.77790 1.50101
H 3.31749 -0.62153 -0.94524
H 4.01061 -2.16455 -0.40595
H 5.05243 -0.78192 -0.85370
H 4.13844 -0.61547 3.72496

    I myself was a drawer back in the day but only when I was about 6 or 7 years old because just like you I liked to just doodle anything that came to mind and didn't try to improve. I was all about starting in one corner of a paper and then connecting a bunch of shapes and lines through the whole paper when I was little. Also, another thing I enjoyed to draw was many sports players with cool backgrounds.

    I would say that I used to enjoy drawing with my imagination when I was younger because I would draw anything that was on my head and mix a lot of things like you were saying. But nowadays when I sit down to draw I usually like to trace characters and then add a little bit of my own flare to a specific place of it, I enjoy that more because I draw cooler things like that.

    What are some of your favorite characters that you like to draw from cartoons?

    1. Thanks for the feedback! I'm glad that you enjoyed my post and it's kind of cool that you enjoy drawing too. It's kind of hard to choose from which characters I like to draw from cartoons because I've watched so many and liked watching all of them. My favorite show as a kid was Avatar because the animation was the best I've seen in the cartoons that I watched and it inspired me to get better. Again thanks for the comment. I really appreciate it.
